Assignment.
The reader should retype only the lines below with the word "the" in them.
Data.
/*
Starting from a DFT-relaxed cell (PBE, Alexandria), the powder diffraction line list of AcPr2Dy6 was calculated for CuKα.

Largest 8 diffraction maxima, by angle, 10 to 90 degrees two-theta:
- 2θ 27.3, intensity 34.4
- 2θ 28.3, intensity 86.7
- 2θ 28.6, intensity 55.3
- 2θ 30.8, intensity 94.3
- 2θ 31.3, intensity 100.0
- 2θ 31.9, intensity 71.6
- 2θ 34.6, intensity 78.0
- 2θ 34.9, intensity 58.3

```
data_AcPr2Dy6
_cell_length_a 6.557
_cell_length_b 6.557
_cell_length_c 8.899
_cell_angle_alpha 106.61
_cell_angle_beta 106.61
_cell_angle_gamma 62.53
_symmetry_space_group_name_H-M 'P 1'
_symmetry_Int_Tables_number 1
loop_
_symmetry_equiv_pos_as_xyz
'x,y,z'
loop_
_atom_site_label
_atom_site_type_symbol
_atom_site_fract_x
_atom_site_fract_y
_atom_site_fract_z
Ac1 Ac 0.000 0.000 0.000
Pr1 Pr 0.241 0.241 0.797
Pr2 Pr 0.759 0.759 0.203
Dy1 Dy 0.138 0.663 0.596
Dy2 Dy 0.328 0.328 0.234
Dy3 Dy 0.337 0.862 0.404
Dy4 Dy 0.663 0.138 0.596
Dy5 Dy 0.672 0.672 0.766
Dy6 Dy 0.862 0.337 0.404
```


# 1
Theoretical PXRD pattern of Ba2Tl4Hg for Cu Kα (λ = 1.5418 Å), from the PBE geometry in Alexandria.
Kinematic intensities with the Lorentz-polarization factor, no thermal factor.

Structure:
Cell: 7.017 7.248 9.972 Å, 90.00 104.32 90.00°
Atoms (fractional coordinates):
Ba: 0.116 0.250 0.411
Ba: 0.270 0.750 0.024
Ba: 0.730 0.250 0.976
Ba: 0.884 0.750 0.589
Tl: 0.259 0.250 0.101
Tl: 0.303 0.750 0.409
Tl: 0.404 0.521 0.699
Tl: 0.404 0.979 0.699
Tl: 0.596 0.021 0.301
Tl: 0.596 0.479 0.301
Tl: 0.697 0.250 0.591
Tl: 0.741 0.750 0.899
Hg: 0.114 0.250 0.786
Hg: 0.886 0.750 0.214

Principal peaks in the range 10° ≤ 2θ ≤ 80°, by angle:
d_spacing	2θ (°)	Rel. int.
3.198	27.90	54.6
3.178	28.08	100.0
3.078	29.01	57.8
2.956	30.24	73.3
2.937	30.44	52.6
2.901	30.82	50.8
2.822	31.70	63.5
2.667	33.61	95.3
2.513	35.73	57.3
1.812	50.35	49.5


# 2
Theoretical PXRD pattern of Dy3Zr2UN6 for Cu Kα (λ = 1.5418 Å), from the PBE geometry in Alexandria.
Kinematic intensities with the Lorentz-polarization factor, no thermal factor.

Structure:
Cell: 5.850 5.850 5.876 Å, 99.43 99.43 120.09°
Atoms (fractional coordinates):
Dy: 0.000 0.000 0.000
Dy: 0.331 0.669 0.000
Dy: 0.669 0.331 0.000
Zr: 0.167 0.833 0.500
Zr: 0.833 0.167 0.500
U: 0.500 0.500 0.500
N: 0.096 0.423 0.268
N: 0.251 0.251 0.728
N: 0.423 0.096 0.268
N: 0.577 0.904 0.732
N: 0.749 0.749 0.272
N: 0.904 0.577 0.732

Principal peaks in the range 10° ≤ 2θ ≤ 80°, by angle:
d_spacing	2θ (°)	Rel. int.
2.775	32.25	35.7
2.759	32.46	100.0
2.395	37.55	64.8
2.387	37.68	32.1
1.698	54.01	11.0
1.694	54.12	21.9
1.688	54.35	32.6
1.444	64.56	24.7
1.440	64.72	19.6
1.379	67.97	16.4


# 3
Theoretical PXRD pattern of CsCePbO4 for Cu Kα (λ = 1.5418 Å), from the PBE geometry in Alexandria.
Kinematic intensities with the Lorentz-polarization factor, no thermal factor.

Structure:
Cell: 7.415 7.415 7.415 Å, 121.25 117.90 90.76°
Atoms (fractional coordinates):
Cs: 0.386 0.136 0.250
Cs: 0.614 0.864 0.750
Ce: 0.000 0.000 0.500
Ce: 0.000 0.500 0.000
Pb: 0.000 0.500 0.500
Pb: 0.500 0.500 0.000
O: 0.168 0.740 0.428
O: 0.189 0.260 0.928
O: 0.223 0.278 0.555
O: 0.223 0.668 0.945
O: 0.777 0.332 0.055
O: 0.777 0.722 0.445
O: 0.811 0.740 0.072
O: 0.832 0.260 0.572

Principal peaks in the range 10° ≤ 2θ ≤ 80°, by angle:
d_spacing	2θ (°)	Rel. int.
5.964	14.85	38.3
3.705	24.02	27.8
3.220	27.71	82.3
3.162	28.22	22.1
3.133	28.49	100.0
3.083	28.96	44.2
2.982	29.96	30.7
2.010	45.11	40.5
1.853	49.18	56.0
1.567	58.96	23.4


For Cs2TlBiCl6, a cell relaxed with PBE gives the theoretical powder XRD pattern in this record (Cu Kα (λ = 1.5418 Å)).
Lines closer than 0.1° are merged.

Atomic structure:
Cell lengths 11.5821, 11.5821, 11.5821 Å; angles 90.00, 90.00, 90.00 degrees
Space group Fm-3m (No. 225)
Unique sites:
Cs  0.2500  0.2500  0.2500 (multiplicity 8)
Tl  0.0000  0.0000  0.0000 (multiplicity 4)
Bi  0.0000  0.0000  0.5000 (multiplicity 4)
Cl  0.0000  0.0000  0.2649 (multiplicity 24)

The 12 most intense peaks (2θ = 10–90°), sorted by position:
*/
Worked solution.
Starting from a DFT-relaxed cell (PBE, Alexandria), the powder diffraction line list of AcPr2Dy6 was calculated for CuKα.
Theoretical PXRD pattern of Ba2Tl4Hg for Cu Kα (λ = 1.5418 Å), from the PBE geometry in Alexandria.
Kinematic intensities with the Lorentz-polarization factor, no thermal factor.
Principal peaks in the range 10° ≤ 2θ ≤ 80°, by angle:
Theoretical PXRD pattern of Dy3Zr2UN6 for Cu Kα (λ = 1.5418 Å), from the PBE geometry in Alexandria.
Kinematic intensities with the Lorentz-polarization factor, no thermal factor.
Principal peaks in the range 10° ≤ 2θ ≤ 80°, by angle:
Theoretical PXRD pattern of CsCePbO4 for Cu Kα (λ = 1.5418 Å), from the PBE geometry in Alexandria.
Kinematic intensities with the Lorentz-polarization factor, no thermal factor.
Principal peaks in the range 10° ≤ 2θ ≤ 80°, by angle:
For Cs2TlBiCl6, a cell relaxed with PBE gives the theoretical powder XRD pattern in this record (Cu Kα (λ = 1.5418 Å)).